Your job: quote all of the block underneath character by character.

# DyNi2B2O6
Computed PXRD pattern, Cu Kα. Input: a crystal structure in Alexandria, relaxed with PBE+U.
Kinematic intensities with the Lorentz-polarization factor, no thermal factor.

Principal peaks in the range 10° ≤ 2θ ≤ 80°, low angle first:
2theta, I (rel.), (hkl)
14.91, 19, 0 0 1
25.21, 100, 0 1 1
35.39, 37, 1 1 0
36.51, 55, 1 0 2
38.60, 12, 2 -1 1
43.95, 29, 2 0 1
51.76, 17, 0 2 2
57.65, 24, 1 2 1
59.19, 21, 1 1 3
64.27, 17, 3 -1 2

Structural model:
```
DyNi2B2O6
1.0
5.072 0.000 0.000
-2.536 4.393 0.000
0.000 0.000 5.941
Dy Ni B O
1 2 2 6
Cartesian
0.000 0.000 0.000
0.000 2.929 1.934
2.536 1.464 4.007
0.000 2.929 4.559
2.536 1.464 1.383
-1.386 2.969 4.570
0.658 1.708 4.570
1.808 0.284 1.371
0.728 4.109 4.570
1.878 2.685 1.371
3.922 1.424 1.371
```

~~~~~

Entry 1:
Diffraction record for La3Pr2TmSe6. The PXRD pattern is theoretical, not measured: it uses the GGA-PBE geometry in Alexandria and Cu Kα (weighted mean of Kα1 and Kα2).
Kinematic intensities with the Lorentz-polarization factor, no thermal factor.

Principal peaks in the range 2θ = 10–90°, most intense first:
- 29.74 deg, d 3.004, rel. 1000
- 42.53 deg, d 2.126, rel. 371
- 42.60 deg, d 2.122, rel. 370
- 70.05 deg, d 1.343, rel. 218
- 52.72 deg, d 1.736, rel. 130
- 52.86 deg, d 1.732, rel. 130
- 61.77 deg, d 1.502, rel. 120
- 77.81 deg, d 1.228, rel. 119
- 77.98 deg, d 1.225, rel. 80
- 25.72 deg, d 3.464, rel. 80

Cell and atoms:
Lattice parameters (Å, degrees): 7.3679 7.3679 7.3494 99.62 99.62 120.12
Fractional coordinates of all 12 atoms:
1 La 0.0000 0.0000 0.0000
2 La 0.3272 0.6728 0.0000
3 La 0.6728 0.3272 0.0000
4 Pr 0.1668 0.8332 0.5000
5 Pr 0.8332 0.1668 0.5000
6 Tm 0.5000 0.5000 0.5000
7 Se 0.1014 0.4209 0.2619
8 Se 0.2621 0.2621 0.7439
9 Se 0.4209 0.1014 0.2619
10 Se 0.5791 0.8986 0.7381
11 Se 0.7379 0.7379 0.2561
12 Se 0.8986 0.5791 0.7381

Entry 2:
Diffraction record for Bi4Pb6O19. The PXRD pattern is theoretical, not measured: it uses the GGA-PBE geometry in Alexandria and Cu Kα (weighted mean of Kα1 and Kα2).
Kinematic intensities with the Lorentz-polarization factor, no thermal factor.

Principal peaks in the range 2θ = 10–90°, most intense first:
- 29.00 deg, d 3.079, rel. 1000
- 34.47 deg, d 2.602, rel. 625
- 22.37 deg, d 3.974, rel. 565
- 47.63 deg, d 1.909, rel. 438
- 56.74 deg, d 1.623, rel. 255
- 31.84 deg, d 2.810, rel. 248
- 51.41 deg, d 1.777, rel. 218
- 45.65 deg, d 1.987, rel. 216
- 64.97 deg, d 1.435, rel. 193
- 58.44 deg, d 1.579, rel. 183

Cell and atoms:
Lattice parameters (Å, degrees): 8.4310 8.4310 8.4310 109.47 109.47 109.47
Fractional coordinates of all 29 atoms:
1 Bi 0.0000 0.0000 0.7019
2 Bi 0.0000 0.7019 0.0000
3 Bi 0.2981 0.2981 0.2981
4 Bi 0.7019 0.0000 0.0000
5 Pb 0.1705 0.6705 0.5000
6 Pb 0.3295 0.5000 0.8295
7 Pb 0.5000 0.1705 0.6705
8 Pb 0.5000 0.8295 0.3295
9 Pb 0.6705 0.5000 0.1705
10 Pb 0.8295 0.3295 0.5000
11 O 0.0000 0.0000 0.0000
12 O 0.0000 0.3505 0.3505
13 O 0.0000 0.6495 0.6495
14 O 0.0317 0.2533 0.6600
15 O 0.2216 0.9683 0.6283
16 O 0.2533 0.6600 0.0317
17 O 0.3400 0.5933 0.3717
18 O 0.3505 0.0000 0.3505
19 O 0.3505 0.3505 0.0000
20 O 0.3717 0.3400 0.5933
21 O 0.4067 0.7467 0.7784
22 O 0.5933 0.3717 0.3400
23 O 0.6283 0.2216 0.9683
24 O 0.6495 0.0000 0.6495
25 O 0.6495 0.6495 0.0000
26 O 0.6600 0.0317 0.2533
27 O 0.7467 0.7784 0.4067
28 O 0.7784 0.4067 0.7467
29 O 0.9683 0.6283 0.2216

Entry 3:
Diffraction record for Ce6GaGe5. The PXRD pattern is theoretical, not measured: it uses the GGA-PBE geometry in Alexandria and Cu Kα (weighted mean of Kα1 and Kα2).
Kinematic intensities with the Lorentz-polarization factor, no thermal factor.

Principal peaks in the range 2θ = 10–90°, most intense first:
- 29.77 deg, d 3.001, rel. 1000
- 42.60 deg, d 2.122, rel. 748
- 70.08 deg, d 1.343, rel. 222
- 52.81 deg, d 1.733, rel. 197
- 78.02 deg, d 1.225, rel. 144
- 25.72 deg, d 3.464, rel. 129
- 61.82 deg, d 1.501, rel. 122
- 70.16 deg, d 1.341, rel. 111
- 77.92 deg, d 1.226, rel. 102
- 50.42 deg, d 1.810, rel. 82

# DyNi2B2O6
Computed PXRD pattern, Cu Kα. Input: a crystal structure in Alexandria, relaxed with PBE+U.
Kinematic intensities with the Lorentz-polarization factor, no thermal factor.

Principal peaks in the range 10° ≤ 2θ ≤ 80°, low angle first:
2theta, I (rel.), (hkl)
14.91, 19, 0 0 1
25.21, 100, 0 1 1
35.39, 37, 1 1 0
36.51, 55, 1 0 2
38.60, 12, 2 -1 1
43.95, 29, 2 0 1
51.76, 17, 0 2 2
57.65, 24, 1 2 1
59.19, 21, 1 1 3
64.27, 17, 3 -1 2

Structural model:
```
DyNi2B2O6
1.0
5.072 0.000 0.000
-2.536 4.393 0.000
0.000 0.000 5.941
Dy Ni B O
1 2 2 6
Cartesian
0.000 0.000 0.000
0.000 2.929 1.934
2.536 1.464 4.007
0.000 2.929 4.559
2.536 1.464 1.383
-1.386 2.969 4.570
0.658 1.708 4.570
1.808 0.284 1.371
0.728 4.109 4.570
1.878 2.685 1.371
3.922 1.424 1.371
```

~~~~~

Entry 1:
Diffraction record for La3Pr2TmSe6. The PXRD pattern is theoretical, not measured: it uses the GGA-PBE geometry in Alexandria and Cu Kα (weighted mean of Kα1 and Kα2).
Kinematic intensities with the Lorentz-polarization factor, no thermal factor.

Principal peaks in the range 2θ = 10–90°, most intense first:
- 29.74 deg, d 3.004, rel. 1000
- 42.53 deg, d 2.126, rel. 371
- 42.60 deg, d 2.122, rel. 370
- 70.05 deg, d 1.343, rel. 218
- 52.72 deg, d 1.736, rel. 130
- 52.86 deg, d 1.732, rel. 130
- 61.77 deg, d 1.502, rel. 120
- 77.81 deg, d 1.228, rel. 119
- 77.98 deg, d 1.225, rel. 80
- 25.72 deg, d 3.464, rel. 80

Cell and atoms:
Lattice parameters (Å, degrees): 7.3679 7.3679 7.3494 99.62 99.62 120.12
Fractional coordinates of all 12 atoms:
1 La 0.0000 0.0000 0.0000
2 La 0.3272 0.6728 0.0000
3 La 0.6728 0.3272 0.0000
4 Pr 0.1668 0.8332 0.5000
5 Pr 0.8332 0.1668 0.5000
6 Tm 0.5000 0.5000 0.5000
7 Se 0.1014 0.4209 0.2619
8 Se 0.2621 0.2621 0.7439
9 Se 0.4209 0.1014 0.2619
10 Se 0.5791 0.8986 0.7381
11 Se 0.7379 0.7379 0.2561
12 Se 0.8986 0.5791 0.7381

Entry 2:
Diffraction record for Bi4Pb6O19. The PXRD pattern is theoretical, not measured: it uses the GGA-PBE geometry in Alexandria and Cu Kα (weighted mean of Kα1 and Kα2).
Kinematic intensities with the Lorentz-polarization factor, no thermal factor.

Principal peaks in the range 2θ = 10–90°, most intense first:
- 29.00 deg, d 3.079, rel. 1000
- 34.47 deg, d 2.602, rel. 625
- 22.37 deg, d 3.974, rel. 565
- 47.63 deg, d 1.909, rel. 438
- 56.74 deg, d 1.623, rel. 255
- 31.84 deg, d 2.810, rel. 248
- 51.41 deg, d 1.777, rel. 218
- 45.65 deg, d 1.987, rel. 216
- 64.97 deg, d 1.435, rel. 193
- 58.44 deg, d 1.579, rel. 183

Cell and atoms:
Lattice parameters (Å, degrees): 8.4310 8.4310 8.4310 109.47 109.47 109.47
Fractional coordinates of all 29 atoms:
1 Bi 0.0000 0.0000 0.7019
2 Bi 0.0000 0.7019 0.0000
3 Bi 0.2981 0.2981 0.2981
4 Bi 0.7019 0.0000 0.0000
5 Pb 0.1705 0.6705 0.5000
6 Pb 0.3295 0.5000 0.8295
7 Pb 0.5000 0.1705 0.6705
8 Pb 0.5000 0.8295 0.3295
9 Pb 0.6705 0.5000 0.1705
10 Pb 0.8295 0.3295 0.5000
11 O 0.0000 0.0000 0.0000
12 O 0.0000 0.3505 0.3505
13 O 0.0000 0.6495 0.6495
14 O 0.0317 0.2533 0.6600
15 O 0.2216 0.9683 0.6283
16 O 0.2533 0.6600 0.0317
17 O 0.3400 0.5933 0.3717
18 O 0.3505 0.0000 0.3505
19 O 0.3505 0.3505 0.0000
20 O 0.3717 0.3400 0.5933
21 O 0.4067 0.7467 0.7784
22 O 0.5933 0.3717 0.3400
23 O 0.6283 0.2216 0.9683
24 O 0.6495 0.0000 0.6495
25 O 0.6495 0.6495 0.0000
26 O 0.6600 0.0317 0.2533
27 O 0.7467 0.7784 0.4067
28 O 0.7784 0.4067 0.7467
29 O 0.9683 0.6283 0.2216

Entry 3:
Diffraction record for Ce6GaGe5. The PXRD pattern is theoretical, not measured: it uses the GGA-PBE geometry in Alexandria and Cu Kα (weighted mean of Kα1 and Kα2).
Kinematic intensities with the Lorentz-polarization factor, no thermal factor.

Principal peaks in the range 2θ = 10–90°, most intense first:
- 29.77 deg, d 3.001, rel. 1000
- 42.60 deg, d 2.122, rel. 748
- 70.08 deg, d 1.343, rel. 222
- 52.81 deg, d 1.733, rel. 197
- 78.02 deg, d 1.225, rel. 144
- 25.72 deg, d 3.464, rel. 129
- 61.82 deg, d 1.501, rel. 122
- 70.16 deg, d 1.341, rel. 111
- 77.92 deg, d 1.226, rel. 102
- 50.42 deg, d 1.810, rel. 82